Random walk
A random walk[1] is a statistical concept which is often humorously introduced by comparing it to the trajectory of an inebriated person wending their way home after the saloon has closed for the night. Lurching from lamp post to lamp post, having forgotten from whence and unsure of where to go, chance selects the next destination. How long will it take to get home, or even to return to the bar? More formally, given a graph with nodes and links and probabilities with which to choose among them, what is the probability of getting from one node to another. Or dispensing with probabilities, one could simply try to make a list of possible paths.
The process applies to the Game of Life when it is found that there are certain basic patterns which can be polymerized, and someone wants to know how many, and in what ways. Examination of lists of Life patterns confirms the tendency towards family groupings. Identifying closed walks has a special importance given the tendency of open walks to be fuses rather than wicks. Or the necessity of finding appropriate boundaries to contain them.
Domino walks
Single live cells tend to occur with a certain frequency as time goes on, which can be predicted but is otherwise not very informative. On the other hand, sparse pairs of cells, orthogonally connected to form dominoes, polymerize readily into common and recognizable patterns. By polymerize, we mean that they can form stable chains. Two dominoes can touch at the corners if they are perpendicular to one another (a bridge). Parallel contact is unstable, as is any edgewise contact. Unless the polymer is closed into a loop, it will disintegrate from the ends, but stabilizing terminations can often be found.
The result is an extensive collection of lakes, of which the smallest is a ring of four dominoes called a pond. The element of random walk enters because, seen from the point of view of the last domino, the next one can be placed either to the right or to the left (but not two simultaneously, one in each direction).
Pond walks
- a pond is a domino tetramer
- a bipond is a pond dimer
- straight tripond
- bent tripond
- a pond of ponds, a tetramer
What is now interesting is that ponds can act as squarish dominoes, in the sense that two can be joined at the corners, to get a bi-pond. Whereas left and right for a domino is reckoned with respect to its long axis, the long diagonal is more appropriate for biponds, leaving straight and bent to describe continuations. The straight successor of a bipond would be a tripond, thereby founding a family of multiponds. The bent succession, for which left and right are still apropriate, closes after four steps when they are taken with the same handedness. That would be the start of a new recursive process, because the resulting tetramer now behaves just like a pond.
All in all, in contrast to the dominoes, paths can now branch at both corners, creating a veritable marshland agar. Possible branching represents an important distinction. When only one branch at a time is permitted, although the resulting pattern may lie in a plane and be extremely convoluted, it is essentially one-dimensional. Associated possibilites which have to be considered include whether or not the walk is self-intersecting or even closed. If the intersection is consistent, the path just continues onward. But branching along a cut line into another of multiple planes may be used to reduce confusion. Calculating the liklihood of closure, implying return to the starting point, is an important goal for the study of walks.
The territory that could be covered by multiply branching walks would be two-dimensional, a genuine meshwork rather than just a line. It may still have holes, not having to cover the whole plane uniformly.
Herparian walks

Another object which polymerizes even more readily than a domino is a snake. First, as a freestanding object, there is no concern for stabilizing terminal monomers. Then, better than for ponds, there are three joining alternatives, one of which leaves the bodies of the snakes parallel; more of a tie than a bridge. Walking a snake is little different than walking a domino or walking a pond, so the same conditions of wandering, crossing, and closure apply. The more complicated the basic unit, the more intricate the resulting wick or agar; their grand variety is a consequence of having multiple choices for connecting the same basic pattern.
Combined Loaf and Beehive walks
-- Calculated crystals from another source follow --
-- begin --
{"formula": "ZrMnGa", "functional": "GGA-PBE", "state": "relaxed", "spacegroup": "Amm2 (38)", "cell": [[8.461, 0.000, 0.000], [0.000, 2.570, 4.394], [0.000, -2.570, 4.394]], "species": ["Zr", "Zr", "Zr", "Zr", "Mn", "Mn", "Mn", "Mn", "Ga", "Ga", "Ga", "Ga"], "fractional_positions": [[0.176, 0.000, 0.000], [0.308, 0.664, 0.664], [0.692, 0.664, 0.664], [0.824, 0.000, 0.000], [0.000, 0.505, 0.505], [0.000, 0.515, 0.955], [0.000, 0.955, 0.515], [0.500, 0.165, 0.165], [0.233, 0.324, 0.324], [0.500, 0.163, 0.675], [0.500, 0.675, 0.163], [0.767, 0.324, 0.324]]}

{"formula": "Ga31Mo6", "functional": "GGA-PBE", "state": "relaxed", "spacegroup": "P-1 (2)", "cell": [[9.584, 0.000, 0.000], [0.753, 9.556, 0.000], [0.762, 2.271, 14.381]], "species": ["Ga", "Ga", "Ga", "Ga", "Ga", "Ga", "Ga", "Ga", "Ga", "Ga", "Ga", "Ga", "Ga", "Ga", "Ga", "Ga", "Ga", "Ga", "Ga", "Ga", "Ga", "Ga", "Ga", "Ga", "Ga", "Ga", "Ga", "Ga", "Ga", "Ga", "Ga", "Ga", "Ga", "Ga", "Ga", "Ga", "Ga", "Ga", "Ga", "Ga", "Ga", "Ga", "Ga", "Ga", "Ga", "Ga", "Ga", "Ga", "Ga", "Ga", "Ga", "Ga", "Ga", "Ga", "Ga", "Ga", "Ga", "Ga", "Ga", "Ga", "Ga", "Ga", "Mo", "Mo", "Mo", "Mo", "Mo", "Mo", "Mo", "Mo", "Mo", "Mo", "Mo", "Mo"], "fractional_positions": [[0.000, 0.000, 0.000], [0.000, 0.500, 0.500], [0.019, 0.236, 0.737], [0.049, 0.783, 0.437], [0.071, 0.531, 0.672], [0.074, 0.267, 0.917], [0.089, 0.039, 0.175], [0.106, 0.565, 0.853], [0.111, 0.818, 0.609], [0.149, 0.039, 0.363], [0.160, 0.312, 0.084], [0.166, 0.848, 0.787], [0.177, 0.521, 0.216], [0.202, 0.332, 0.403], [0.211, 0.598, 0.021], [0.214, 0.078, 0.536], [0.269, 0.881, 0.962], [0.278, 0.730, 0.309], [0.279, 0.107, 0.707], [0.300, 0.566, 0.520], [0.328, 0.395, 0.734], [0.341, 0.237, 0.243], [0.343, 0.140, 0.882], [0.372, 0.954, 0.142], [0.398, 0.629, 0.825], [0.402, 0.789, 0.647], [0.433, 0.660, 0.147], [0.435, 0.959, 0.326], [0.436, 0.473, 0.330], [0.440, 0.217, 0.050], [0.454, 0.302, 0.544], [0.500, 0.000, 0.500], [0.500, 0.500, 0.000], [0.546, 0.698, 0.456], [0.560, 0.783, 0.950], [0.564, 0.527, 0.670], [0.565, 0.041, 0.674], [0.567, 0.340, 0.853], [0.598, 0.211, 0.353], [0.602, 0.371, 0.175], [0.628, 0.046, 0.858], [0.657, 0.860, 0.118], [0.659, 0.763, 0.757], [0.672, 0.605, 0.266], [0.700, 0.434, 0.480], [0.721, 0.893, 0.293], [0.722, 0.270, 0.691], [0.731, 0.119, 0.038], [0.786, 0.922, 0.464], [0.789, 0.402, 0.979], [0.798, 0.668, 0.597], [0.823, 0.479, 0.784], [0.834, 0.152, 0.213], [0.840, 0.688, 0.916], [0.851, 0.961, 0.637], [0.889, 0.182, 0.391], [0.894, 0.435, 0.147], [0.911, 0.961, 0.825], [0.926, 0.733, 0.083], [0.929, 0.469, 0.328], [0.951, 0.217, 0.563], [0.981, 0.764, 0.263], [0.064, 0.272, 0.255], [0.171, 0.790, 0.128], [0.185, 0.329, 0.591], [0.303, 0.841, 0.472], [0.304, 0.394, 0.928], [0.425, 0.907, 0.808], [0.575, 0.093, 0.192], [0.696, 0.606, 0.072], [0.697, 0.159, 0.528], [0.815, 0.671, 0.409], [0.829, 0.210, 0.872], [0.936, 0.728, 0.745]]}
-- stop --
-- Here the page continues --
A beehive resembles a pond shortened in one direction, while a loaf looks like a pond cut in half by its diagonal. Pairwise combinations include beehive at beehive, beehive at loaf, and half-bakery, showing that the figures readily form mixed polymers. Many other still lifes, such mangos, loops and cis-fuses with two tails can also be included in this polymer. Some still lifes, such as hat can be used at the end, but not the middle. Allowing a random walk to stop rather than to close by returning to its starting point or more likely to continue indefinitely, leads to a variant picturesquely known as a "random walk with manholes" (pity that poor inebriate!).
The implication for random walk theory is that stepping can be combined with a phase change, whose probability should be included along with that of directional choices. Even if there is no change of direction, there will be uniform subwalks of varying lengths mingled with each other.
Phoenix walks
- three phoenix avatars
- smallest closed phoenix walk
- an avatar appearing in four polymers
Some phoenix avatars are shaped just like dominoes. Although they oscillate with period 2, giving alternate generations two different colors and superposing them in the same diagram makes the resemblance more evident. Their joining rules can be much more complicated than just choosing the ingredients and directions for continuing a walk. Even with that restriction numerous interesting patterns can be constructed or recognized as resulting from random walks. The prototype phoenix is the homologue of a pond or a snake ring.
By its nature, the word walk implies a one-dimensional structure; to say random suggests an element of choice. One expects to be able to enumerate the possibilities and explore their relative frequencies. But all walks are not the same, inviting a discussion of their origins and various characteristics, including the following:
- origin
- exploring a crystallographic lattice
- visualizing a Lindenmayer production
- routes inherent in a de Bruijn diagram
- empirical observation
- dimension
- one dimensional on a line (frieze)
- one dimensional embedded in a plane
- objects visited or transported
- points or simple objects on a fixed lattice
- objects with an internal structure affecting their linkage
- various mutually compatible objects
- oscillating or variable objects linking in all phases
- recursion
- objects formable in one walk become hyperobjects for a hyperwalk
- William Feller, An Introduction to Probability Theory and its Applications, Volume 1, John Wiley and Sons, 1957